-- begin --
The following is a PBE+U calculation of a relaxed Al2CoO4 crystal, from the Materials Project database.

E_tot ... -7.0972 eV per atom
Energy above the most stable polymorph in this dataset ... 0.078 eV/atom

POSCAR file:
```
Al2CoO4
1.0
2.8893 1.6682 18.9255
-2.8893 1.6682 18.9255
0.0000 -3.3363 18.9255
Al Co O
16 8 32
Direct
0.0000 0.0000 0.0000
0.0948 0.0948 0.0948
0.2163 0.7216 0.7216
0.2221 0.2221 0.7161
0.2221 0.7161 0.2221
0.2508 0.2508 0.2508
0.4694 0.9699 0.9699
0.4735 0.4735 0.9631
0.4735 0.9631 0.4735
0.7161 0.2221 0.2221
0.7216 0.2163 0.7216
0.7216 0.7216 0.2163
0.8446 0.8446 0.8446
0.9631 0.4735 0.4735
0.9699 0.4694 0.9699
0.9699 0.9699 0.4694
0.1886 0.1886 0.1886
0.3457 0.3457 0.3457
0.4389 0.4389 0.4389
0.5016 0.5016 0.5016
0.5952 0.5952 0.5952
0.6896 0.6896 0.6896
0.7503 0.7503 0.7503
0.9392 0.9392 0.9392
0.0131 0.0131 0.5738
0.0131 0.5738 0.0131
0.0326 0.0326 0.0326
0.0615 0.5232 0.5232
0.1186 0.6750 0.6750
0.1539 0.1539 0.1539
0.1608 0.1608 0.6441
0.1608 0.6441 0.1608
0.2642 0.2642 0.8228
0.2642 0.8228 0.2642
0.2839 0.2839 0.2839
0.3124 0.7719 0.7719
0.3625 0.9278 0.9278
0.4046 0.4046 0.4046
0.4063 0.4063 0.9030
0.4063 0.9030 0.4063
0.5232 0.0615 0.5232
0.5232 0.5232 0.0615
0.5373 0.5373 0.5373
0.5738 0.0131 0.0131
0.6441 0.1608 0.1608
0.6547 0.6547 0.6547
0.6750 0.1186 0.6750
0.6750 0.6750 0.1186
0.7719 0.3124 0.7719
0.7719 0.7719 0.3124
0.7858 0.7858 0.7858
0.8228 0.2642 0.2642
0.9030 0.4063 0.4063
0.9040 0.9040 0.9040
0.9278 0.3625 0.9278
0.9278 0.9278 0.3625
```

=====

[1]
This record from the Materials Project database describes an optimized crystal structure of K4Nb11Al2O20F. The functional is GGA-PBE.

Unit cell a=8.9927 b=8.9927 c=8.9927 alpha=120.62 beta=120.62 gamma=88.92
Positions (direct):
K1 0.5000 0.1925 0.6925
K2 0.1925 0.5000 0.6925
K3 0.8075 0.5000 0.3075
K4 0.5000 0.8075 0.3075
Nb1 0.3239 0.0010 0.0000
Nb2 0.3153 0.3153 0.0000
Nb3 0.0000 0.0000 0.0000
Nb4 0.0010 0.0010 0.6771
Nb5 0.6761 0.9990 0.0000
Nb6 0.6761 0.6761 0.6771
Nb7 0.0010 0.3239 0.0000
Nb8 0.3239 0.3239 0.3229
Nb9 0.9990 0.9990 0.3229
Nb10 0.9990 0.6761 0.0000
Nb11 0.6847 0.6847 0.0000
Al1 0.7500 0.2500 0.5000
Al2 0.2500 0.7500 0.5000
O1 0.8401 0.8401 0.3307
O2 0.4906 0.1599 0.0000
O3 0.5054 0.1663 0.3391
O4 0.8272 0.1663 0.6609
O5 0.5094 0.8401 0.0000
O6 0.4906 0.4906 0.3307
O7 0.8303 0.1697 0.0000
O8 0.1663 0.5054 0.3391
O9 0.8337 0.4946 0.6609
O10 0.8337 0.1728 0.3391
O11 0.1728 0.8337 0.3391
O12 0.1697 0.8303 0.0000
O13 0.1663 0.8272 0.6609
O14 0.1599 0.4906 0.0000
O15 0.4946 0.8337 0.6609
O16 0.1599 0.1599 0.6693
O17 0.5094 0.5094 0.6693
O18 0.1697 0.1697 0.3393
O19 0.8401 0.5094 0.0000
O20 0.8303 0.8303 0.6607
F1 0.5000 0.5000 0.0000

Computed properties:
Total magnetic moment   0.00 μB/cell
Total energy after the MP2020 corrections   -8.649 eV/atom
Formation energy from the elements   -2.756 eV per atom



[2]
This record from the Materials Project database describes an optimized crystal structure of K2Al2O2F9. The functional is GGA-PBE.

Unit cell a=11.0136 b=3.7804 c=11.1962 alpha=89.92 beta=90.00 gamma=90.00
Positions (direct):
F1 0.2323 0.4987 0.9758
F2 0.7966 0.4995 0.2543
F3 0.6003 0.9995 0.6210
F4 0.5000 0.5000 0.5000
F5 0.8997 0.9995 0.1210
F6 0.4723 0.4986 0.7256
F7 0.0000 0.5000 0.0000
F8 0.0277 0.4986 0.2256
F9 0.9723 0.5014 0.7744
F10 0.3997 0.0005 0.3790
F11 0.7323 0.5013 0.5242
F12 0.5277 0.5014 0.2744
F13 0.2966 0.5005 0.2457
F14 0.2677 0.4987 0.4758
F15 0.2034 0.5005 0.7457
F16 0.7677 0.5013 0.0242
F17 0.7034 0.4995 0.7543
F18 0.1003 0.0005 0.8790
K1 0.1828 0.0005 0.1452
K2 0.8172 0.9995 0.8548
K3 0.3172 0.0005 0.6452
K4 0.6828 0.9995 0.3548
O1 0.4354 0.6114 0.9312
O2 0.9354 0.3886 0.5688
O3 0.5646 0.3886 0.0688
O4 0.0646 0.6114 0.4312
Al1 0.8933 0.4993 0.1314
Al2 0.1067 0.5007 0.8686
Al3 0.3933 0.5007 0.3686
Al4 0.6067 0.4993 0.6314

Computed properties:
Total magnetic moment   10.00 μB/cell
Total energy after the MP2020 corrections   -5.146 eV/atom
-- stop --

Retype the whole of the entries earlier on character by character, please.

The following is a PBE+U calculation of a relaxed Al2CoO4 crystal, from the Materials Project database.

E_tot ... -7.0972 eV per atom
Energy above the most stable polymorph in this dataset ... 0.078 eV/atom

POSCAR file:
```
Al2CoO4
1.0
2.8893 1.6682 18.9255
-2.8893 1.6682 18.9255
0.0000 -3.3363 18.9255
Al Co O
16 8 32
Direct
0.0000 0.0000 0.0000
0.0948 0.0948 0.0948
0.2163 0.7216 0.7216
0.2221 0.2221 0.7161
0.2221 0.7161 0.2221
0.2508 0.2508 0.2508
0.4694 0.9699 0.9699
0.4735 0.4735 0.9631
0.4735 0.9631 0.4735
0.7161 0.2221 0.2221
0.7216 0.2163 0.7216
0.7216 0.7216 0.2163
0.8446 0.8446 0.8446
0.9631 0.4735 0.4735
0.9699 0.4694 0.9699
0.9699 0.9699 0.4694
0.1886 0.1886 0.1886
0.3457 0.3457 0.3457
0.4389 0.4389 0.4389
0.5016 0.5016 0.5016
0.5952 0.5952 0.5952
0.6896 0.6896 0.6896
0.7503 0.7503 0.7503
0.9392 0.9392 0.9392
0.0131 0.0131 0.5738
0.0131 0.5738 0.0131
0.0326 0.0326 0.0326
0.0615 0.5232 0.5232
0.1186 0.6750 0.6750
0.1539 0.1539 0.1539
0.1608 0.1608 0.6441
0.1608 0.6441 0.1608
0.2642 0.2642 0.8228
0.2642 0.8228 0.2642
0.2839 0.2839 0.2839
0.3124 0.7719 0.7719
0.3625 0.9278 0.9278
0.4046 0.4046 0.4046
0.4063 0.4063 0.9030
0.4063 0.9030 0.4063
0.5232 0.0615 0.5232
0.5232 0.5232 0.0615
0.5373 0.5373 0.5373
0.5738 0.0131 0.0131
0.6441 0.1608 0.1608
0.6547 0.6547 0.6547
0.6750 0.1186 0.6750
0.6750 0.6750 0.1186
0.7719 0.3124 0.7719
0.7719 0.7719 0.3124
0.7858 0.7858 0.7858
0.8228 0.2642 0.2642
0.9030 0.4063 0.4063
0.9040 0.9040 0.9040
0.9278 0.3625 0.9278
0.9278 0.9278 0.3625
```

=====

[1]
This record from the Materials Project database describes an optimized crystal structure of K4Nb11Al2O20F. The functional is GGA-PBE.

Unit cell a=8.9927 b=8.9927 c=8.9927 alpha=120.62 beta=120.62 gamma=88.92
Positions (direct):
K1 0.5000 0.1925 0.6925
K2 0.1925 0.5000 0.6925
K3 0.8075 0.5000 0.3075
K4 0.5000 0.8075 0.3075
Nb1 0.3239 0.0010 0.0000
Nb2 0.3153 0.3153 0.0000
Nb3 0.0000 0.0000 0.0000
Nb4 0.0010 0.0010 0.6771
Nb5 0.6761 0.9990 0.0000
Nb6 0.6761 0.6761 0.6771
Nb7 0.0010 0.3239 0.0000
Nb8 0.3239 0.3239 0.3229
Nb9 0.9990 0.9990 0.3229
Nb10 0.9990 0.6761 0.0000
Nb11 0.6847 0.6847 0.0000
Al1 0.7500 0.2500 0.5000
Al2 0.2500 0.7500 0.5000
O1 0.8401 0.8401 0.3307
O2 0.4906 0.1599 0.0000
O3 0.5054 0.1663 0.3391
O4 0.8272 0.1663 0.6609
O5 0.5094 0.8401 0.0000
O6 0.4906 0.4906 0.3307
O7 0.8303 0.1697 0.0000
O8 0.1663 0.5054 0.3391
O9 0.8337 0.4946 0.6609
O10 0.8337 0.1728 0.3391
O11 0.1728 0.8337 0.3391
O12 0.1697 0.8303 0.0000
O13 0.1663 0.8272 0.6609
O14 0.1599 0.4906 0.0000
O15 0.4946 0.8337 0.6609
O16 0.1599 0.1599 0.6693
O17 0.5094 0.5094 0.6693
O18 0.1697 0.1697 0.3393
O19 0.8401 0.5094 0.0000
O20 0.8303 0.8303 0.6607
F1 0.5000 0.5000 0.0000

Computed properties:
Total magnetic moment   0.00 μB/cell
Total energy after the MP2020 corrections   -8.649 eV/atom
Formation energy from the elements   -2.756 eV per atom



[2]
This record from the Materials Project database describes an optimized crystal structure of K2Al2O2F9. The functional is GGA-PBE.

Unit cell a=11.0136 b=3.7804 c=11.1962 alpha=89.92 beta=90.00 gamma=90.00
Positions (direct):
F1 0.2323 0.4987 0.9758
F2 0.7966 0.4995 0.2543
F3 0.6003 0.9995 0.6210
F4 0.5000 0.5000 0.5000
F5 0.8997 0.9995 0.1210
F6 0.4723 0.4986 0.7256
F7 0.0000 0.5000 0.0000
F8 0.0277 0.4986 0.2256
F9 0.9723 0.5014 0.7744
F10 0.3997 0.0005 0.3790
F11 0.7323 0.5013 0.5242
F12 0.5277 0.5014 0.2744
F13 0.2966 0.5005 0.2457
F14 0.2677 0.4987 0.4758
F15 0.2034 0.5005 0.7457
F16 0.7677 0.5013 0.0242
F17 0.7034 0.4995 0.7543
F18 0.1003 0.0005 0.8790
K1 0.1828 0.0005 0.1452
K2 0.8172 0.9995 0.8548
K3 0.3172 0.0005 0.6452
K4 0.6828 0.9995 0.3548
O1 0.4354 0.6114 0.9312
O2 0.9354 0.3886 0.5688
O3 0.5646 0.3886 0.0688
O4 0.0646 0.6114 0.4312
Al1 0.8933 0.4993 0.1314
Al2 0.1067 0.5007 0.8686
Al3 0.3933 0.5007 0.3686
Al4 0.6067 0.4993 0.6314

Computed properties:
Total magnetic moment   10.00 μB/cell
Total energy after the MP2020 corrections   -5.146 eV/atom